Jonathan Glazer’s Under the Skin is both a brilliant and disturbing film. Science fiction meets Art House on the streets of Glasgow. Scarlet Johanssen plays an alien (stay with me) who has clothed herself in human skin in order to seduce and consume humans for energy. The interesting thing about the film is that it isn’t about aliens at all it’s about humanity. It’s about what’s under the skin. The alien - callous, devoid of emotion and weakness begins to encounter humanity - in it’s weakness - we get cold, we buy food, we eat, we sleep, we experience pain and tragedy; in it’s tenderness - we love, we sacrifice, we lay down our lives for others. but she also encounters the dark side of humanity when she is the victim of a horrific attempted rape.
The film is asking questions we all ask about identity. Who are we as human beings? Capable of such great good and yet so dependent, so lost and so deeply deeply flawed. What is our future? What is our hope?
Christianity says there is a hope for humanity.
Because God our creator, in the person of Jesus of Nazareth entered our humanity. And this wasn’t just putting on skin. He became fully human. Everything that is under the skin. God entered our weakness, to share our joy and our pain and to bear our darkness for us.
This is what the baptism is about. Jesus was baptised into our name so that we could be baptised into his name. Jesus unites himself to our humanity inorder to redeem it. He enters our hopeless situation inorder to lift us out.
It’s quite a shocking passage we had read for us isn’t it? The preaching of John the Baptist.
Imagine if you walked in here this evening and i began my sermon.. You brood of vipers - literally snake children - who warned you to flee from the coming wrath?” Judgement is coming, the axe is at the root of the trees, the unquenchable fire is being stoked and you haven’t got a leg to stand on, preaches John. And then Luke comes out with this extraordinary summary in v18 “And with many other words John exhorted the people and preached the good news to them!” ??
But you see - it is good news - because John is not preaching that you are only a snake, he is not preaching that you are irreversibly unlean, he is not preaching that you have to change and be prefect - which we all know is impossible. No… look at v3 John is preaching a baptism of repentance for …the forgiveness of sins
Fundamentally - and we’ll at what baptism and repentance means in a bit - but fundamentally John is preaching - forgiveness. forgiveness through Jesus Christ.
a gift that we must receive and hold and go on accepting. Jesus has entred our hopelessness inorder to lift us out. That’s Good news. But in order to see his salvation you have to realise the darkness of your predicament. That’s what John points out and that’s why his warnings, his exposure of the darkness while difficult to face is part of the good news.. because it leads us to turn to the saviour
Warnings are loving aren’t they
Children are young - shout - Stop! Don’t walk there!. Child bursts into tears - you shouted at me. To which i answered, yes but you were about to walk into the road!
Warnings are loving.
So First, let’s look at our hopeless situation out of which Jesus comes to redeem us.
Why were the crowds coming to John the Baptist willing to hear these things? Because the word of God had come to him v2 and as he spoke they recognized our hopeless situation and they longed for rescue.
Here are humanity’s deepest problems:
- Lostness
To be lost. To be outside.
Are you familiar with the event in Israel’s history called the Exile?
In around 597BC Israel were invaded by Babylon and taken into Exile. Away from their home.
The shock of it all was that God said he had caused this. He’d allowed it. As a physical representation of a spiritual truth. That spiritually the people were far from God. They didn’t seek him or honour him. They rejected and ignored him and were not at home with him. And so God sent them far from their home.
And when the l exile ended 70 years later. The people returned to Israel, to Jerusalem but everyone knew that actually the Exile somehow remained. That sense of lostness, of distance from God. And the people who come to John the Baptist recognize that problem. John the Baptist is identified in v4 with a quote from the prophet Isaiah which speaks of a time when the spiritual Exile would end with the coming of the LORD. And John goes to preach v3 in the region around the Jordan. the border lands of Israel. The people come to be baptised by him in the Jordan river - the crossing back into Israel. We want to come home, these people were effectively saying. We’re lost, rootless.
Do you know that human problem, that human longing?
We can feel secure at times. When all is going right. Good job, nice house, stable family. But we don’t have to be alive very long to know the vulnerability of those things. Our roots are weak and we can quickly find ourselves adrift. a bewildering sense of helplessness and lostness.
This is the experience that flows from a humanity that cuts itself free from its creator. We are lost.
Unless the one who ends the Exile comes.
2. we are unclean
Here’s what people did as they came to John:
v7 they came to be washed by him.
That’s what baptism means, it’s a washing. A baptism for the forgiveness of sins. that’s what these people were saying, I need to wash my life clean. I feel dirty on the inside.
Do you ever feel that? “I wish I could open up my heart and have it washed, cleaned out, rinsed out.”
(The page is interrupted by calculated crystals)
-- begin --
YBi2OsF | the Alexandria database | PBE | optimized geometry; volume = 22.20 Å³/atom; SG = P4/mmm; formation energy from raw total energies = 0.0479 eV per atom
1.0
-4.4399 1.4124 2.1528
-1.6285 -3.7865 -0.8744
1.6416 -1.7534 4.5358
F Bi Os Y
1 2 1 1
Cartesian
0.0000 0.0000 0.0000 F
-2.2200 0.7062 1.0764 Bi
0.8208 -0.8767 2.2679 Bi
-0.8142 -1.8932 -0.4372 Os
-2.2134 -2.0637 2.9071 Y

=====

Bi2PF | the Alexandria database | PBE | optimized geometry; volume = 21.09 Å³/atom; SG = Fm-3m; formation energy from raw total energies = -0.4154 eV per atom; E above lowest polymorph = 0.510 eV per formula unit
1.0
1.6094 -2.3409 4.0206
0.4566 2.4396 4.2515
-3.0958 -0.9259 3.7140
Bi F P
2 1 1
Cartesian
-0.2574 -0.2068 2.9965 Bi
-0.7723 -0.6204 8.9896 Bi
0.0000 0.0000 0.0000 F
-0.5149 -0.4136 5.9931 P

=====

BiP3F | the Alexandria database | PBE | optimized geometry; volume = 32.37 Å³/atom; SG = Pm-3m; formation energy from raw total energies = 1.3447 eV per atom; E above lowest polymorph = 3.925 eV per formula unit
1.0
5.4499 0.0000 0.0000
0.0000 5.4499 0.0000
0.0000 0.0000 5.4499
P F Bi
3 1 1
Cartesian
2.7250 0.0000 0.0000 P
0.0000 0.0000 2.7250 P
0.0000 2.7250 0.0000 P
2.7250 2.7250 2.7250 F
0.0000 0.0000 0.0000 Bi

----------

## Cs3PSe (GGA-PBEsol)

Data for Cs3PSe after structural relaxation.

POSCAR file:
```
Cs3PSe
1.0
-4.156 -5.004 1.814
4.323 -4.516 -2.553
3.105 -0.410 5.983
Se Cs P
1 3 1
Direct
0.000 0.000 0.000
0.000 0.000 0.500
0.000 0.500 0.000
0.500 0.000 0.000
0.500 0.500 0.500
```

Properties
Formation energy without anion corrections = -0.152 eV per atom

## CsPSe3 (GGA-PBEsol)

Data for CsPSe3 after structural relaxation.

POSCAR file:
```
CsPSe3
1.0
-3.489 -1.299 3.379
-1.411 -3.835 -2.931
3.334 -2.982 2.297
Cs P Se
1 1 3
Direct
0.500 0.500 0.500
0.000 0.000 0.000
0.500 0.000 0.000
0.000 0.500 0.000
0.000 0.000 0.500
```

Properties
Formation energy without anion corrections = -0.166 eV per atom

## Cs2SiP (GGA-PBEsol)

Data for Cs2SiP after structural relaxation.

POSCAR file:
```
Cs2SiP
1.0
4.553 0.000 0.000
2.276 9.436 0.000
2.276 0.000 9.436
P Cs Si
2 4 2
Direct
0.000 0.000 0.000
0.750 0.500 0.500
0.927 0.198 0.698
0.875 0.302 0.198
0.823 0.802 0.302
0.375 0.698 0.802
0.500 0.000 0.000
0.250 0.500 0.500
```

Properties
Formation energy without anion corrections = 0.067 eV per atom

## Cs3SnP (GGA-PBEsol)

Data for Cs3SnP after structural relaxation.

POSCAR file:
```
Cs3SnP
1.0
-1.756 4.857 -4.209
-5.970 -2.848 -0.796
-2.379 3.562 5.103
Sn Cs P
1 3 1
Direct
0.500 0.500 0.500
0.500 0.000 0.000
0.000 0.000 0.500
0.000 0.500 0.000
0.000 0.000 0.000
```

Properties
Energy relative to the elements = 0.241 eV/atom

## Cs2SnP (GGA-PBEsol)

Data for Cs2SnP after structural relaxation.

POSCAR file:
```
Cs2SnP
1.0
-2.334 -4.555 2.988
-2.871 -4.292 -2.909
2.413 -5.394 -0.460
Cs Sn P
2 1 1
Direct
0.750 0.750 0.750
0.250 0.250 0.250
0.500 0.500 0.500
0.000 0.000 0.000
```

Properties
Energy relative to the elements = 0.376 eV/atom
-- stop --
Tom Ripley is a fictional character in a series of crime novels by Patricia Highsmith. Ripley is a murderer and a criminal almost devoid of conscience. But at the end of the first novel, The Talented Mr Ripley. The character says this:
Dont you just take the past and put it in a room in a basement and lock the door and never go in there? That’s what I do, And then you meet someone special and all you want to do is to toss them the key and say; open up, step inside, but you can’t, because it’s dark, There’s demons and if anybody saw how ugly it is… I keep wanting to do that, fling the door open just let light in and clean everything out.
crowds came to John to be washed because we feel unclean. Of course the baptism was only symbolic. water only washes the outside of the person. But John tells us v16 That someone is coming who will wash you with the Holy Spirit and with fire.
I keep wanting to do that, fling the door open just let light in and clean everything out.
Jesus can do that. Without Him we remain unclean.
Lostness, Uncleanness, thirdly …unfruitfulness.
Notice all the fruit language from v8:
8 Produce fruit in keeping with repentance. and do not begin to say to yourselves, we have abaham as our father, for i tell you that out of these stones God can raise up children for Abraham. 10 The axe is already at the root of the trees, and every tree that does not produce good fruit will be cut down and thrown into the fire.
Jesus speaks to people who are proudly relying on their spiritual heritage. We have Abraham as our father. No says Jesus. Your’e not children of Abraham, you’re snake children. See they’re proud in their status and goodness but there’s no fruit of love in their lives.
Being a good person is deadly.. It’s just another way of keeping God at arms length. I don’t need God. And so being good is just as God rejecting as being bad. It’s just another form of our darkness: Good works that are full of self righteousness and death. Look at v17, John the Baptist says all your good works are nothing but chaff - the husk around a grain of wheat, you couldn’t even use it as animal feed - they are insubstantial, weightless, worthless.
And why does fruitfulness matter? Because - the last of our human problems - there is going to be a judgement. a wrath to come v10 the axe is at the foot of the trees v17 the LORD will come with a winnowing fork to test us all. unquenchable fire.
This kind of language is very unpalatable to our modern ears. We recoil from this medieval God of judgement we want a God of love. But we need to stop and think because Love and justice go together. Imagine a high court judge who, in the name of love, refused to ever punish the guilty… just let them off. A denial of justice is the opposite of love isn’t it. The fact that God will judge and bring perfect justice is great news. He is right to do so. The real reason that this is so uncomfortable is not to do with him but with us as the subjects of judgement.
Because we are lost, unclean and unfruitful
That’s the human predicament into which Jesus comes..
verse 21:
When all the people were being baptised JESUS…..was baptised too !!
This is a crucial verse in the whole bible
This is a great shock and a mighty relief
Because we’ve just had tthis great build up from John that the judge of all the earth is on the way his winnowing fork and axe are in his hands. And these people in stead of running for the hill are admitting their guilt, their lostness, uncleanness, unfruitfulness - that they are sinners
and now - he’s here! the judge of the world and what does he do?
He doesn’t judge. Not yet. He joins the sinners. He is willingly “numbered among them” He joins the queue at the Jordan River. In fact he jumps to the head of the queue and He gets baptised.
What is going on? The LORD sees us perishing in our lostness, our uncleanness, our unfruitfulness, and He doesn’t zap us with judgements. And He doesn’t lecture us from the river bank. He joins us. And He goes through the waters at our Head. Isn’t it stunning?
God the Father thinks so: v21 as Jesus was praying heaven was opened and the Holy Spirit descended on him in bodily form like a dove. And a voice came from heaven” You are my son whom i love; with you i am well pleased” Jesus according to his humanity, in his humanity growing in favour with God - as he submits himself to God’s plan.
Jesus comes and in his baptism he joins/unites himself to sinful humanity he stands with us and then he goes out for us. The champion of humanity. Humanity summed up in him that he might turn our fortunes around.
You know the story of David and Goliath? That is the model Biblical story that teaches us this principle of Jesus: humanity’s champion. Just like King David who was anointed as the peoples King (in a ceremony very like baptism) before he then went out as the peoples champion single handedly killing Goliath, winning their victory for them while they just stood and watched.. So Jesus is anointed (in his baptism) as our King before he goes out not as an example that we must then follow but as a gift to be received and trusted in; as our champion who does life and death for us. He lives the life we ought to live FOR US and he dies the death we deserve to die - he takes the judgement- FOR US. And we only stand and watch and receive his victories.
Jesus baptised into our name so that we might be baptised into his name.
How wonderful this is…
it is a gift to be received daily and lived out in lives of thankfulness and worship
john’s baptism is a baptism of repentance for the forgiveness of sins
when John preaches the darkness of our situation
people say to him v10 well what should we do?
and it’s strange - he doesn’t say simply come to Jesus and be forgiven
he urges repentance
a turning around (that’s what repentance means - an about turn) of our lives
have a look
vv 10-14 “…”
what’s John saying to these people?
he says
turn away from the besetting sins of your situation. the patterns of selfishness and lovelessness that particularly affect you. instead ..learn to love, learn to be generous.
i hope that we understand that the forgiveness of christ is offered to us absolutley freely
it is not earned! it is free
but for a sinner to come and find that forgiveness. that sinner will have to find the things that we have clung to dropping out of our hands because we cannot get a firm grip on Jesus Christ when we are still firmly holding on to the characteristic patterns of our sinfulness
we cannot receive from Christ if we are constantly turning and walking in a direction away from him.
we need to turn back - daily..
all of life is repentance
a daily pattern of
confessing our sin, turning away from it and endeavouring to live to please Jesus Christ
receiving his bounteous forgiveness